Community Advocacy News

CIICA - still growing! This is our space for shared news and here are just a few to start us off. People told us that they are keen to share news and information, so we don't "reinvent the wheel!".

We welcome short items here with a link to your site – and we will be providing more space for stories about successful advocacy too. Help us to make this an interesting and exciting space! Please send your brief contribution to . We look forward to hearing from you.

PINDROP, New Zealand, at Conference for General Practitioners, GPs

PINDROP, New Zealand, at Conference for General Practitioners, GPs

Nic Russell, of PINDROP, New Zealand, tells us of their Road Show and the importance of visiting the annual GP conference to talk about the value of adult CI - so many delegates only thought that CI was for children and not an option for adults.
22 June 2021Read more  


The Nordic Adult CI Action Group met online - from Norway, Sweden, Iceland, Finland, Denmark - and shared the evidence from the WHO World Report on Hearing and the CIICA summaries, which will now be translated into the Nordic languages. Asa Skagerstrand presented on person centred care and cohesive care processes for adults with severe and profound hearing loss.
18 June 2021Read more  
Helen Cullington, Chair of BCIG, UK,  wears her badge – ask me about cochlear implants!

Helen Cullington, Chair of BCIG, UK, wears her badge – ask me about cochlear implants!

Helen Cullington, Chair of British Cochlear Implant Group, UK wears her new badge with pride! "ask me about cochlear implants"! You can get one too - email and you could wear it too to spread the word.
23 May 2021Read more  
IFHOH – updating our Advocacy Statement on CI

IFHOH – updating our Advocacy Statement on CI

IFHOH is updating their advocacy statement on CI - join the discussion! The paper is being updated given the recent release of the World Report on Hearing and the Consensus Paper on CI Treatment for Adult Hearing Loss.
16 May 2021Read more  
The Spanish Government recognises CI users and AICE

_Unrelated to this page: calculated crystals_
┌──
Record 1
# GGA-PBE Ba2CuPdO5, optimized geometry
data_Ba2CuPdO5
_cell_length_a 3.465
_cell_length_b 15.769
_cell_length_c 10.264
_cell_angle_alpha 90.00
_cell_angle_beta 90.00
_cell_angle_gamma 90.00
_symmetry_space_group_name_H-M 'C m c 21'
_symmetry_Int_Tables_number 36
_symmetry_space_group_name_Hall 'C 2c -2'
loop_
_atom_site_label
_atom_site_type_symbol
_atom_site_fract_x
_atom_site_fract_y
_atom_site_fract_z
_atom_site_occupancy
Ba1 Ba 0.000 0.123 0.000 1
Ba2 Ba 0.000 0.124 0.397 1
Cu1 Cu 0.000 0.446 0.164 1
Pd1 Pd 0.000 0.213 0.703 1
O1 O 0.000 0.079 0.717 1
O2 O 0.000 0.290 0.326 1
O3 O 0.000 0.291 0.078 1
O4 O 0.000 0.342 0.700 1
O5 O 0.000 0.492 0.995 1
# total magnetic moment = 0.46 μB/f.u.
# E_tot = -5.6128 eV per atom
# D(E_F) = 4.0 states/eV/f.u.
# formation energy from raw total energies = -1399 meV per atom

***

Record 2
# GGA-PBE Ba3PmCu2O6, optimized geometry
data_Ba3PmCu2O6
_cell_length_a 6.2678
_cell_length_b 6.2678
_cell_length_c 6.9564
_cell_angle_alpha 90.00
_cell_angle_beta 90.00
_cell_angle_gamma 120.00
_symmetry_space_group_name_H-M 'P -3 m 1'
_symmetry_Int_Tables_number 164
_symmetry_space_group_name_Hall '-P 3 2"'
loop_
_atom_site_label
_atom_site_type_symbol
_atom_site_fract_x
_atom_site_fract_y
_atom_site_fract_z
_atom_site_occupancy
Ba1 Ba 0.0000 0.0000 0.0000 1
Ba2 Ba 0.3333 0.6667 0.6555 1
Pm1 Pm 0.0000 0.0000 0.5000 1
Cu1 Cu 0.3333 0.6667 0.2117 1
O1 O 0.1667 0.3335 0.2947 1
# total magnetic moment = 1.08 μB/f.u.
# E_tot = -5.9916 eV per atom
# D(E_F) = 9.0 states/eV/f.u.
# formation energy from raw total energies = -1953 meV per atom

***

Record 3
# GGA-PBE BaPmCu2O5, optimized geometry
data_BaPmCu2O5
_cell_length_a 3.930
_cell_length_b 3.930
_cell_length_c 7.687
_cell_angle_alpha 90.00
_cell_angle_beta 90.00
_cell_angle_gamma 90.00
_symmetry_space_group_name_H-M 'P 4/m m m'
_symmetry_Int_Tables_number 123
_symmetry_space_group_name_Hall '-P 4 2'
loop_
_atom_site_label
_atom_site_type_symbol
_atom_site_fract_x
_atom_site_fract_y
_atom_site_fract_z
_atom_site_occupancy
Ba1 Ba 0.000 0.000 0.000 1
Pm1 Pm 0.000 0.000 0.500 1
Cu1 Cu 0.500 0.500 0.262 1
O1 O 0.000 0.500 0.306 1
O2 O 0.500 0.500 0.000 1
# total magnetic moment = 1.13 μB/f.u.
# E_tot = -6.2345 eV per atom
# D(E_F) = 4.2 states/eV/f.u.
# formation energy from raw total energies = -1828 meV per atom

***

Record 4
# GGA-PBE Ba2PrCu2O6, optimized geometry
data_Ba2PrCu2O6
_cell_length_a 6.1004
_cell_length_b 6.1004
_cell_length_c 18.3608
_cell_angle_alpha 90.00
_cell_angle_beta 90.00
_cell_angle_gamma 120.00
_symmetry_space_group_name_H-M 'R -3 m'
_symmetry_Int_Tables_number 166
_symmetry_space_group_name_Hall '-R 3 2"'
loop_
_atom_site_label
_atom_site_type_symbol
_atom_site_fract_x
_atom_site_fract_y
_atom_site_fract_z
_atom_site_occupancy
Ba1 Ba 0.0000 0.0000 0.2096 1
Pr1 Pr 0.0000 0.0000 0.0000 1
Cu1 Cu 0.0000 0.0000 0.4244 1
O1 O 0.0118 0.5059 0.7570 1
# total magnetic moment = 3.04 μB/f.u.
# E_tot = -6.0667 eV per atom
# D(E_F) = 2.3 states/eV/f.u.
└──

The Spanish Government recognises CI users and AICE

After years of work by the AICE Foundation, the Plenary of the Spanish Government Senate approved an Institutional Declaration on the occasion of Cochlear Implant Day that was signed by all parliamentary groups, making CI user groups visible.
16 April 2021Read more  

HLLA’s Patient-focused meeting with Food and Drug Administration of America

The US Food and Drug Administration (FDA) held a Patient-Focused Drug Development (PFDD) meeting hosted by the Hearing Loss Association of America (HLAA) on May 25,2021. It was a great step forward for real patient engagement!
14 April 2021Read more  


Eddie Mukaaya says: It's great to be part of CIICA and on the Steering Group! There is so much to do in Uganda to improve our services. See what we did on International CI day .
10 March 2021Read more  
CICADA at Sydney Opera House on International CI Day!

CICADA at Sydney Opera House on International CI Day!

International CI Day - we had the Channel 10 Sydney news and Channel 7 Melbourne News arrive and take some footage and interview Sue Walters, President of CICADA.
10 March 2021Read more